Input:
+++
Record 1
This record from the Materials Project database describes an optimized crystal structure of CaHf8N8O4. The functional is PBE-GGA.

Values from the calculation:
Calculated density: 8.937 g cm⁻³
Crystal system: triclinic
Energy of formation from the pure elements: -2080 meV per atom
Final energy: -209.09 eV/cell
Distance to the lowest polymorph of the same formula: 2.19 eV/f.u.

Cell: 5.8078 5.8740 11.0228 Å, 89.09 74.20 58.68°
Closest atoms and distances in Å follow each position.
Atoms (fractional coordinates):
1 Ca 0.5680 0.3372 0.3336  3 N 2.24-2.43, 1 O 2.25
2 Hf 0.8997 0.6649 0.3116  3 N 1.95-2.11, 1 O 1.99
3 Hf 0.2644 0.7807 0.7268  2 N 2.01-2.15, 1 O 2.11
4 Hf 0.4256 0.2608 0.0248  3 N 2.06-2.26, 1 O 2.12
5 Hf 0.6033 0.1590 0.7412  3 N 2.09-2.26, 1 O 2.11
6 Hf 0.1500 0.0493 0.4488  3 N 1.95-2.12, 1 O 1.98
7 Hf 0.0746 0.9010 0.0094  3 N 2.10-2.24, 1 O 2.13
8 Hf 0.7476 0.5801 0.0160  2 O 2.04-2.24, 2 N 2.12-2.18
9 Hf 0.9289 0.4844 0.7409  1 O 2.04, 2 N 2.10-2.16
10 N 0.1830 0.3242 0.3499  2 Hf 1.95-2.00
11 N 0.7054 0.2728 0.1017  3 Hf 2.06-2.12
12 N 0.3230 0.4377 0.6519  3 Hf 2.01-2.10
13 N 0.5259 0.7181 0.4021  2 Hf 1.95-1.98
14 N 0.4934 0.5097 0.8775  5 Hf 2.26-2.50
15 N 0.0135 0.6188 0.1102  4 Hf 2.11-2.18
16 N 0.9931 0.1246 0.6504  4 Hf 2.11-2.16
17 N 0.8534 0.8802 0.8761  4 Hf 2.24-2.45
18 O 0.3679 0.9399 0.0737  3 Hf 2.04-2.13
19 O 0.9133 0.9656 0.3820  2 Hf 1.98-1.99
20 O 0.1560 0.2419 0.8836  3 Hf 2.24-2.44
21 O 0.6288 0.8039 0.6818  3 Hf 2.04-2.11

Record 2
This record from the Materials Project database describes an optimized crystal structure of Ni4Ge. The functional is PBE-GGA.

Values from the calculation:
Calculated density: 8.748 g cm⁻³
Crystal system: trigonal
Energy of formation from the pure elements: 82 meV per atom
Final energy: -27.34 eV/cell

Cell: 9.8099 9.8099 9.8099 Å, 15.45 15.45 15.45°
Closest atoms and distances in Å follow each position.
Atoms (fractional coordinates):
1 Ni 0.6004 0.6004 0.6004  3 Ge 2.45, 9 Ni 2.48-2.64
2 Ni 0.1996 0.1996 0.1996  12 Ni 2.45-2.64
3 Ni 0.8004 0.8004 0.8004  12 Ni 2.45-2.64
4 Ni 0.3996 0.3996 0.3996  3 Ge 2.45, 9 Ni 2.48-2.64
5 Ge 0.0000 0.0000 0.0000  6 Ni 2.45, 6 Ge 2.64

Record 3
This record from the Materials Project database describes an optimized crystal structure of Li3MnAs2. The functional is PBE-GGA.

Values from the calculation:
Calculated density: 3.486 g cm⁻³
Crystal system: tetragonal
Energy of formation from the pure elements: -494 meV per atom
Final energy: -27.17 eV/cell

Cell: 4.2258 4.2258 6.0179 Å, 90.00 90.00 90.00°
Closest atoms and distances in Å follow each position.
Atoms (fractional coordinates):
1 Li 0.5000 0.5000 0.0000  4 As 2.66
2 Li 0.0000 0.0000 0.0000  4 As 2.66
3 Li 0.5000 0.5000 0.5000  4 As 2.53
4 Mn 0.0000 0.0000 0.5000  4 As 2.53
5 As 0.0000 0.5000 0.2679  6 Li 2.53-2.66, 2 Mn 2.53
6 As 0.5000 0.0000 0.7321  2 Mn 2.53, 6 Li 2.53-2.66

> Among the records above, which one has the lowest final energy?

CaHf8N8O4


PBE+U Li3MnCoO5, relaxed; DFT total energy = -5.939 eV per atom; calculated density = 3999 kg/m³; SG = P-1 (2); offset from the most stable computed form = 20 meV per atom; ΔE_f = -1.9393 eV/atom
1.0
2.906 0.000 0.000
-1.437 6.374 0.000
-0.262 -1.969 9.626
Li Mn Co O
6 2 2 10
Cartesian
0.000 0.000 0.000 Li
-0.039 0.671 2.803 Li
-0.216 2.168 8.651 Li
1.322 -0.984 4.813 Li
1.422 2.237 0.975 Li
1.246 3.734 6.823 Li
-0.009 4.781 1.871 Mn
1.216 -0.376 7.755 Mn
-0.177 1.389 5.793 Co
1.383 3.016 3.833 Co
-0.231 -0.580 6.408 O
-0.241 0.027 8.969 O
0.024 2.791 2.464 O
-0.166 3.341 5.176 O
-0.216 4.207 8.122 O
1.422 0.199 1.504 O
1.372 1.064 4.450 O
1.183 1.615 7.162 O
1.447 4.378 0.657 O
1.438 4.985 3.218 O

PBE+U Li3MnCoO5, relaxed; DFT total energy = -5.793 eV per atom; calculated density = 3877 kg/m³; SG = C2/m (12); offset from the most stable computed form = 167 meV per atom; ΔE_f = -1.7932 eV/atom
1.0
2.654 -1.419 0.000
2.654 1.419 0.000
-0.373 0.000 24.426
Li Mn Co O
6 2 2 10
Cartesian
0.000 0.000 0.000 Li
+++
Brief:
The reader should quote every line further up that contains the word "PBE-GGA".
Done:
This record from the Materials Project database describes an optimized crystal structure of CaHf8N8O4. The functional is PBE-GGA.
This record from the Materials Project database describes an optimized crystal structure of Ni4Ge. The functional is PBE-GGA.
This record from the Materials Project database describes an optimized crystal structure of Li3MnAs2. The functional is PBE-GGA.